Page 51 of Liars (The Triad 2)


A couple of hours later, we were all sitting in the living room with Niko and Finn. A couple of other guys were down in the basement, cleaning up the mess Seb had made of Gary.

[What comes next are quantum chemistry results, not part of the text]
=====
1.
Here is a 2-piece molecular cluster, C10H21B2NO7 overall in a non-equilibrium geometry from OMol25. Energies are from the ωB97M-V functional and the def2-TZVPD basis.

The frontier orbital gap comes out at 4.003 eV. The net charge is 0. For the HOMO energy, the calculation gives -0.2073 hartree.

The geometry in XYZ format:
```
41
C10H21B2NO7 | OMol25 | the ωB97M-V functional and the def2-TZVPD basis
C -0.09546 -3.42296 1.17842
C -1.27488 -2.94454 0.66958
B -1.80055 -1.45169 1.04992
O -3.03746 -1.21397 1.84640
C -3.13085 0.16089 1.81441
C -2.42718 0.67277 0.43420
C -1.15280 1.51959 0.73269
C -1.09555 2.85503 0.02433
O 0.27368 3.39867 -0.05975
C 1.03498 3.16672 1.01878
O 0.90930 3.67893 2.10162
B -3.66570 1.31785 -0.26637
O -4.03124 2.65105 -0.08642
O -4.44083 0.53162 -1.10943
O -1.95473 -0.54828 -0.09443
H -0.02319 -3.72036 2.22151
H 0.82876 -3.46046 0.61455
H -1.84508 -3.52669 -0.06267
H -0.88279 -0.96544 1.76870
H -2.70977 0.61065 2.71776
H -4.21166 0.39341 1.78049
H -1.05098 1.62182 1.80748
H -0.32130 0.91263 0.38716
H -1.66632 3.58720 0.58419
H -1.44846 2.82239 -0.99705
H 1.87410 2.47007 0.84221
H -4.60428 2.80025 0.66572
H -5.25196 0.30098 -0.65171
C 1.98324 -0.73694 -2.11769
C 2.83121 -1.54190 -1.19368
O 2.54747 -2.56226 -0.67658
N 4.21753 -1.01335 -0.84238
C 5.24614 -1.25552 -1.92390
H 0.93900 -0.94418 -1.88310
H 2.16708 0.33247 -1.99653
H 2.19012 -1.02043 -3.15105
H 4.15356 -0.01431 -0.64054
H 4.46312 -1.53332 0.00261
H 5.89679 -0.38931 -1.98011
H 4.74476 -1.40562 -2.87456
H 5.82218 -2.13344 -1.65481
```

Atom charges from the natural (NBO) analysis, given in e for atoms 1 to 6: atom 1 (C): -0.44, atom 2 (C): -0.39, atom 3 (B): 0.58, atom 4 (O): -0.71, atom 5 (C): -0.04, atom 6 (C): -0.13

2.
Here is C10H21Cl3NO4S2 as an isolated structure from OMol25. Energies are from the ωB97M-V functional and the def2-TZVPD basis.

The frontier orbital gap comes out at 8.200 eV. The net charge is -1. For the HOMO energy, the calculation gives -0.2043 hartree.

The geometry in XYZ format:
```
41
C10H21Cl3NO4S2 | OMol25 | the ωB97M-V functional and the def2-TZVPD basis
C 4.48046 -1.40185 1.16900
C 3.97562 0.03989 1.22996
C 5.05898 0.96306 1.79560
C 3.50878 0.58127 -0.12947
C 2.60076 -0.34495 -0.94659
S 1.06135 0.43064 -1.40672
O 1.39254 1.66212 -2.09684
O 0.32365 -0.55316 -2.18248
N 0.48694 0.66376 0.05883
S -0.95497 1.26228 0.32058
O -1.65564 1.65334 -0.88589
O -0.90656 2.23202 1.39582
C -1.83144 -0.14151 1.00583
C -3.32218 0.15256 1.19608
C -4.09046 -0.12424 -0.09017
C -3.86781 -0.67695 2.36838
H 4.96043 -1.68355 2.10968
H 3.66926 -2.11046 0.99619
H 5.20522 -1.52631 0.35724
H 3.11569 0.08643 1.90704
H 4.64857 1.93139 2.08640
H 5.53845 0.51317 2.66976
H 5.84257 1.12824 1.04907
H 4.39083 0.84562 -0.72272
H 2.96647 1.51351 0.04348
H 2.31566 -1.24893 -0.41109
H 3.05518 -0.64455 -1.89258
H -1.67925 -1.00645 0.35759
H -1.34908 -0.31908 1.96930
H -3.41470 1.21390 1.44491
H -5.16806 -0.09788 0.09896
H -3.84560 0.60511 -0.85950
H -3.84676 -1.12206 -0.47053
=====

“Sebastian was too distracted to ask all the questions and get the answers we needed,” Elliot said in his normal optimistic tone.

“Enough with the blaming,” I told him. “It’s hard to focus with this,” I said, gesturing to myself, “standing in the room with you.”

That earned me a reluctant smile from Elliot and laughs from the other guys. I glanced around and saw Finn staring at Kenna. I cleared my throat, and he looked over at me. With a slow shake of my head, his eyes went a bit wide before he made a show of not looking in her direction anymore.

“All we know is that they want her out of the way,” Seb said. “That’s all we need to know.”

“They don’t just want me out of the way,” I told them, sticking my cold feet under Tristan’s thighs. It was late, after midnight, seeing as how they had to drive here from London, and Kenna was yawning. “They want me dead.”

“It would be nice to know why,” Elliot mumbled. I shot him the bird.

“The obvious answer is that they want to make sure I won’t make any type of claim to their precious throne,” I said as I rolled my eyes. “Which…” I trailed off, not wanting to admit what I was about to say. But it was about time I started thinking with a critical mind instead of with whatever I had left of a heart.

“What, poppet?” Tristan asked, leaning over and taking a strand of my hair to play with.

“It could possibly mean that Motshan isn’t on my side. Or, at least, that maybe he doesn’t know there’s a side to pick.”

“Not ta be the downer, here,” Niko said, chiming in with his Irish accent. I saw Kenna’s ears prick up like a damn dog. “I highly doubt your family hasn’t informed him there are sides ta pick. But—” He paused. “—that doesn’t mean he has all the information. I’m sure they’ve told him their incredibly biased version,” he told me in a reassuring tone.

“My thoughts exactly,” Tristan said, running his thumb over my cheek. “That doesn’t mean there’s no hope for him. It just means we have to get him on our side.”

“So we bring him here,” I said. “We get a message to him and bring him here. Niko?” I asked, looking to him for support.

“Oh, hell no,” Elliot chimed in first. “That is a disaster waiting to fucking happen. You tell him to meet you here, he brings the fucking army with him. No chance in hell.”

“Why does that even matter at this point? Gary has been here for how long, and you really don’t think he had already reported back where we were? Don’t be daft,” I scoffed. “If they wanted to get here, they could.”

“She’s got a point,” Finn said, still making obvious efforts to not look at Kenna. She seemed to find it funny, scooting closer to him and doing little things to try and get his eyes back on her. “If they wanted to ambush, they’d ambush.”

“And it might be smarter to get ahead of it,” Seb said, leaning forward so that he could see everyone. “They’re going to realize pretty quickly that something is wrong when dear old Gary doesn’t check in. They may already be suspicious. They won’t have heard from him in hours.”

“Good point,” Niko said. “Want me to give Simon a ring? Get him to start working on this?”

“Thank you, Niko,” I said to him as he got the nod from Tristan and stood to make his call outside.

“You’re still putting her directly in the line of fire,” Elliot said.

“If you’re so concerned about her well-being in this situation, Man Bun,” Kenna jumped in, “then you be the one to protect her. Don’t leave her side, and make sure she’s okay. Stop fighting something that is clearly going to happen, and just make sure it doesn’t go wrong.”

“What Kenneth said,” Seb agreed. Kenna leaned up and smacked him upside the head. “Ouch, K-Dawg! Not nice,” he admonished with a smile, rubbing the back of his head.

“Kenna,” I said, grabbing her attention. “Do you want to go home? You don’t need to be here for this. This isn’t your world, and it definitely isn’t your fight.” What I really wanted to do was ship her back to London whether she liked it or not, but I wasn’t going to treat her like a child or like she was somehow weaker than me. I didn’t want her to feel like I was taking her choice away.

“I can take her,” Finn said at the same time that Tristan shut it down.

“She needs to stay here,” he said.

“I don’t want to leave anyway. I feel safer here with you guys than I would feel at home…you know…without a door,” she said.

“I fixed that for you,” Finn said. “You have a door that works again. I went over that night and did it.”

“Thanks,” she said with a little smile, her cheeks reddening.

Fuck my life, I thought to myself. She would want to get into someone’s pants.

“Are you sure?” I asked her, pulling her attention back to me. “Ignore Tristan. If you really want to leave, we can get you to a different safe house. They can spare a few men to stay with you until everything settles down.”

“I’d be happy—” I cut Finn off by holding up my hand in his direction before he could finish his sentence.

“Honestly,” she said, looking at me earnestly. “I’d prefer to stay here.”